Selasa, 20 Desember 2016

More Effective Diet Low Salt or Carbohydrates?

/*
No. 1
VASP calculation (PBE-GGA) on LiRuI2O after structural relaxation.

It has space group P4/mmm (No. 123), with a = 5.625 Å, b = 5.625 Å, c = 3.767 Å, α = 90.00°, β = 90.00° and γ = 90.00°. The distinct sites, in fractional coordinates, are Li at (0.000, 0.000, 0.000), Ru at (0.500, 0.500, 0.500), I at (0.000, 0.500, 0.500) and O at (0.500, 0.500, 0.000).

The total energy is -4.3477 eV per atom. Its magnetization is 0.3 μB per formula unit. Its raw formation energy is -0.498 eV per atom. The excess energy over the best structure of this formula in the dataset is 0 meV/atom. The value obtained for the density of states at the Fermi level is 0.60 states/eV/atom.

=====

No. 2
VASP calculation (PBE-GGA) on Dy3PuBi4 after structural relaxation.

It has space group Cmmm (No. 65), with a = 8.993 Å, b = 12.702 Å, c = 4.495 Å, α = 90.00°, β = 90.00° and γ = 90.00°. The distinct sites, in fractional coordinates, are Dy at (0.000, 0.000, 0.000), Dy at (0.250, 0.250, 0.500), Pu at (0.000, 0.500, 0.000), Bi at (0.000, 0.249, 0.000) and Bi at (0.248, 0.000, 0.500).

As for the formation energy: -720 meV/atom. The total energy is -6.1774 eV per atom. Its magnetization is 5.2 μB per formula unit. The excess energy over the best structure of this formula in the dataset is 0 meV/atom. The value obtained for the density of states at the Fermi level is 2.16 states/eV/atom.

=====

No. 3
VASP calculation (PBE-GGA) on La2Si3Pd4Au after structural relaxation.

It has space group P-4m2 (No. 115), with a = 4.331 Å, b = 4.331 Å, c = 10.310 Å, α = 90.00°, β = 90.00° and γ = 90.00°. The distinct sites, in fractional coordinates, are La at (0.000, 0.500, 0.245), Si at (0.000, 0.000, 0.000), Si at (0.000, 0.500, 0.618), Pd at (0.000, 0.000, 0.500), Pd at (0.000, 0.500, 0.848), Pd at (0.500, 0.500, 0.500) and Au at (0.500, 0.500, 0.000).

The total energy is -5.8360 eV per atom. Its magnetization is 0.0 μB per formula unit. Its raw formation energy is -0.819 eV per atom. The value obtained for the density of states at the Fermi level is 0.56 states/eV/atom.

=====

No. 4
VASP calculation (PBE-GGA) on TlTePd3Se after structural relaxation.

It has space group Cmcm (No. 63), with a = 5.849 Å, b = 16.653 Å, c = 5.815 Å, α = 90.00°, β = 90.00° and γ = 90.00°. The distinct sites, in fractional coordinates, are Tl at (0.000, 0.249, 0.250), Te at (0.000, 0.400, 0.750), Pd at (0.000, 0.243, 0.750), Pd at (0.245, 0.000, 0.000) and Se at (0.000, 0.095, 0.750).

The total energy is -4.3260 eV per atom. Its magnetization is 0.0 μB per formula unit. Its raw formation energy is -0.231 eV per atom. The value obtained for the density of states at the Fermi level is 0.79 states/eV/atom.
*/
(Here the page continues)

green coffee pelangsing

More Effective Diet Low Salt or Carbohydrates?
           QUESTION: Doc, whether low-salt diet may be performed every person? I once low-salt diet for two weeks. Body weight was down 4 kg. But after that I did not proceed because it is not strong and no appetite. Why low-salt diet can lose weight? More effective where the carbo diet? We explanation dok.Aliya (23), Jakarta

Dear Aliya, thank you for asking. Salt (NaCl) is one of the elements that are needed by the body. Therefore, low-salt diet is not recommended to be done by everyone.
What is meant by low-salt diet (RG) is the restriction of the use of salt (sodium chloride / sodium chloride) and its derivatives (many in preserved foods such as sodium benzoate, etc.), usually given about 3-5 grams a day.
The usefulness of a low-salt diet to help reduce the pile of excess fluid in the body such as the legs, helps lower blood pressure in those who are sensitive to sodium, lowers the risk of heart and kidney disease.
low-salt diet can help you lose weight because: • The taste is fresh participated reduce appetite, so the overall food intake lessened.
• Excessive salt in food will also absorb the liquid so that the weight follow-up due fluids. By reducing the salt intake will certainly help to reduce the amount of fluid that tertahan.Dalam terms of weight loss (B) which is more effective doing RG diet or a low carb diet? In the latest research journals, low-carbohydrate diet is proven to significantly lower BB.
It should be remembered also that the carbohydrate remains the macro nutrients that our bodies need, especially the brain and red blood cells. Therefore, low-carbohydrate diets do not mean not eating food source of carbohydrate at all, because the body still requires at least 130 grams of carbohydrates a day.
Value of 130 grams of carbohydrates if translated in the form of rice about 325 gram.Demikian my explanation, may be useful.

Senin, 19 Desember 2016

13 Juta Bayi di Dunia Lahir Prematur

Unrelated to this article: calculated crystals >
(A)
This record from Alexandria describes a relaxed structure of Tb5Ga2Hg. The functional is PBE-GGA.

POSCAR file:
```
Tb5Ga2Hg
1.0
6.8498 0.0031 0.0000
0.0033 6.8498 0.0000
-3.4264 -3.4263 4.3496
Ga Tb Hg
2 5 1
direct
0.2222 0.7222 0.4444
0.7222 0.2222 0.4444
0.7221 0.7222 0.4444
0.2221 0.2221 0.9442
0.2221 0.7221 0.9442
0.7221 0.2222 0.9443
0.7221 0.7221 0.9443
0.2220 0.2220 0.4440
```

Calculated values
Total magnetization, μB/f.u.: 0.00

---

(B)
This record from Alexandria describes a relaxed structure of Tb5Ga2Hg. The functional is PBE-GGA.

POSCAR file:
```
Tb5Ga2Hg
1.0
-7.5645 -0.7675 -0.0525
0.6838 -6.4704 -3.9344
3.7844 -0.2071 8.3454
Tb Ga Hg
10 4 2
direct
0.8161 0.9739 0.2901
0.1839 0.0261 0.7099
0.5261 0.6839 0.7099
0.4739 0.3161 0.2901
0.6839 0.1839 0.7099
0.0000 0.0000 0.0000
0.0261 0.5261 0.7099
0.9739 0.4739 0.2901
0.5000 0.5000 0.0000
0.3161 0.8161 0.2901
0.8790 0.6210 0.0000
0.3790 0.8790 0.0000
0.6210 0.1210 0.0000
0.1210 0.3790 0.0000
0.7500 0.7500 0.5000
0.2500 0.2500 0.5000
```

Calculated values
Total magnetization, μB/f.u.: 0.00

---

Stability summary - winner: (B); margin: 141 meV per atom.

---

(A)
This record from Alexandria describes a relaxed structure of Tb4Ga2Hg. The functional is PBE-GGA.

POSCAR file:
```
Tb4Ga2Hg
1.0
4.9947 0.0000 0.0000
2.4974 4.3256 0.0000
2.4974 1.4419 9.0781
Hg Ga Tb
1 2 4
direct
0.0000 0.0000 0.0000
0.9026 0.9026 0.2923
0.0974 0.0974 0.7077
0.7956 0.7956 0.6133
0.3812 0.3812 0.8565
0.6188 0.6188 0.1435
0.2044 0.2044 0.3867
```

Calculated values
Total magnetization, μB/f.u.: 0.00

---

(B)
This record from Alexandria describes a relaxed structure of Tb4Ga2Hg. The functional is PBE-GGA.

POSCAR file:
```
Tb4Ga2Hg
1.0
-3.5037 -0.1860 3.7017
-3.1081 -4.0269 0.3694
3.2160 -5.1342 6.2997
Tb Ga Hg
4 2 1
direct
0.1296 0.1296 0.6111
0.8704 0.8704 0.3889
0.6181 0.6181 0.1458
0.3819 0.3819 0.8542
0.2502 0.2502 0.2495
0.7498 0.7498 0.7505
0.0000 0.0000 0.0000
```

Calculated values
Total magnetization, μB/f.u.: 0.00

---

Stability summary - winner: (B); margin: 133 meV per atom.

---

(A)
This record from Alexandria describes a relaxed structure of Tb6Ga2Hg. The functional is PBE-GGA.

POSCAR file:
```
Tb6Ga2Hg
1.0
4.9891 0.0000 -0.1911
0.0000 7.1259 0.0000
-2.2032 -3.5630 7.6422
Ga Tb Hg
2 6 1
direct
0.6672 0.6674 0.3348
0.3328 0.3326 0.6652
0.8311 0.5796 0.6620
0.1689 0.4204 0.3380
0.1689 0.9176 0.3380
0.5000 0.2559 0.0000
0.5000 0.7441 0.0000
0.8311 0.0824 0.6620
0.0000 0.0000 0.0000
```

Calculated values
Total magnetization, μB/f.u.: 0.00

---

(B)
This record from Alexandria describes a relaxed structure of Tb6Ga2Hg. The functional is PBE-GGA.

POSCAR file:
```
Tb6Ga2Hg
1.0
8.0955 -0.0206 -3.0384
-4.2560 7.1378 -2.3891
-0.1697 0.0206 8.6453
Tb Ga Hg
12 4 2
direct
0.7053 0.0287 0.3234
0.2947 0.6181 0.3234
0.0951 0.2750 0.8200
0.1996 0.2456 0.4452
0.8004 0.7544 0.5548
0.2947 0.9713 0.6766
0.5450 0.7250 0.8200
0.7053 0.3819 0.6766
0.9049 0.7250 0.1800
0.1996 0.7544 0.9540
0.4550 0.2750 0.1800

13 Juta Bayi di Dunia Lahir Prematur

-- These records of crystals were left in the page by mistake --
┌──
No. 1
Computed, not measured: crystalline CoW2Cl at its relaxed geometry at the PBE level of DFT.

Unit cell a=2.9065 b=4.5378 c=4.6153 alpha=90.00 beta=90.00 gamma=90.00
Last column: nearest neighbours and their distance in Å.
Space group Pmmm (No. 47)
Unique sites:
Co 0.0000 0.0000 0.0000 [1 per cell]  4 W 2.69, 4 Cl 2.73, 2 Co 2.91
W 0.0000 0.5000 0.5000 [1 per cell]  4 Cl 2.69, 6 W 2.73-2.91
W 0.5000 0.5000 0.0000 [1 per cell]  4 Co 2.69, 6 W 2.73-2.91
Cl 0.5000 0.0000 0.5000 [1 per cell]  4 W 2.69, 4 Co 2.73, 2 Cl 2.91

- ΔE_f (raw): 983.3 meV per atom
- Calculated density: 12605 kg/m3
- Final energy: -30.93 eV/cell



No. 2
Computed, not measured: crystalline Zr2NbTlB at its relaxed geometry at the PBE level of DFT.

Unit cell a=4.6873 b=4.6873 c=4.4149 alpha=90.00 beta=90.00 gamma=90.00
Last column: nearest neighbours and their distance in Å.
Space group P4/mmm (No. 123)
Unique sites:
Zr 0.0000 0.5000 0.0000 [2 per cell]  2 B 2.34
Nb 0.0000 0.0000 0.5000 [1 per cell]  2 B 2.21
Tl 0.5000 0.5000 0.5000 [1 per cell]  8 Zr 3.22, 4 Nb 3.31
B 0.0000 0.0000 0.0000 [1 per cell]  2 Nb 2.21, 4 Zr 2.34

- Calculated density: 8398 kg/m3
- ΔH_f (0 K): -0.212 eV/atom
- Final energy: -37.27 eV/cell



No. 3
Computed, not measured: crystalline FeCu2SI at its relaxed geometry at the PBE level of DFT.

Unit cell a=4.7937 b=4.7937 c=5.6037 alpha=90.00 beta=90.00 gamma=90.00
Last column: nearest neighbours and their distance in Å.
Space group P4/mmm (No. 123)
Unique sites:
Fe 0.0000 0.0000 0.0000 [1 per cell]  4 S 3.39, 8 Cu 3.69
Cu 0.0000 0.5000 0.5000 [2 per cell]  2 I 2.40
S 0.5000 0.5000 0.0000 [1 per cell]  2 I 2.80
I 0.5000 0.5000 0.5000 [1 per cell]  4 Cu 2.40

- ΔE_f (raw): 1422.2 meV per atom
- Calculated density: 4409 kg/m3
- Final energy: -15.22 eV/cell



No. 4
Computed, not measured: crystalline NaTlInBi at its relaxed geometry at the PBE level of DFT.

Unit cell a=7.8501 b=7.8501 c=7.8501 alpha=90.00 beta=90.00 gamma=90.00
Last column: nearest neighbours and their distance in Å.
Space group F-43m (No. 216)
Unique sites:
Na 0.0000 0.0000 0.0000 [4 per cell]  4 Tl 3.40, 4 In 3.40
Tl 0.2500 0.2500 0.7500 [4 per cell]  4 Bi 3.40, 4 Na 3.40
In 0.2500 0.2500 0.2500 [4 per cell]  4 Na 3.40, 4 Bi 3.40
Bi 0.0000 0.0000 0.5000 [4 per cell]  4 In 3.40, 4 Tl 3.40

- Calculated density: 7568 kg/m3
- ΔH_f (0 K): -0.144 eV/atom
- Final energy: -43.52 eV/cell



| no. | total magnetic moment (μB per formula unit) |
| --- | --- |
| 1 | 1.479 |
| 2 | 0.000 |
| 3 | 3.437 |
| 4 | 0.000 |


LaZrOs2 PBE-GGA optimized geometry; calculated total energy = -35.1 eV/cell; total magnetic moment = 0.00 μB/cell
1.0
3.0326 0.0058 0.0000
-1.1494 2.8063 0.0000
0.0000 0.0000 9.0455
La Os Zr
1 2 1
Direct
└──

Tiap-tiap th. diprediksikan 13 juta bayi lahir dengan cara prematur di semua dunia serta satu juta bayi wafat dunia karena itu. Sekian menurut laporan tubuh kesehatan dunia (WHO) bekerja sama juga dengan March of Dimes, instansi sosial dari Amerika Serikat yang mempunyai misi menghindar bayi lahir prematur serta cacat. Kelahiran bayi prematur ini paling banyak berlangsung di negara miskin serta berkembang, terlebih di Afrika serta Asia.


Jumlah paling tinggi ada di Afrika serta diikuti dengan Amerika Utara. Bayi dimaksud lahir prematur bila umur kehamilan ibu kurang dari 37 minggu, sedang kelahiran dikira normal bila umur kehamilan meraih 37-40 minggu. Bayi yang lahir prematur berisiko tinggi alami permasalahan kesehatan. Tetapi, sarana perawatan yang begitu komplit, seperti yang dipunyai rumah sakit di negara kaya, bakal jadi besar kesempatan bayi prematur untuk bertahan hidup. Bayi yang dilahirkan prematur umumnya memerlukan perawatan intensif maupun semi-intensif dirumah sakit.


Hal semacam ini lantaran system atau organ-organ badannya belum masak hingga bayi perlu pertolongan untuk tetaplah hidup. Sampai sekarang ini beberapa pakar belum tahu penyebabnya bayi lahir sebelumnya waktunya atau bagaimana menghindarnya. Terlebih dulu juga tak ada data yang akurat tentang jumlah kelahiran bayi prematur, pemicunya serta apa yang berlangsung pada bayi-bayi itu. Banyak yang yakin kelahiran prematur yaitu takdir, bahkan juga orang-tua dari keluarga berpendidikan.


Karena itu, mereka tidak lakukan apa-apa untuk menghindarnya, kata Dr Joy Lawn, dokter spesialis anak serta direktur Save the Children yang berbasiskan di Afrika Selatan.